**Brief**
Search the calculation results underneath for the word "C4H6O2Yb" and repeat each line that has it.

**Entries**
Below is the molecule C2H4N2O in a non-equilibrium geometry, with properties calculated with the ωB97M-V functional and the def2-TZVPD basis.

LUMO level = 0.01792 hartree

Each line ends with the natural charge from an NBO analysis.
Cartesian coordinates (Å):
H 2.803 -0.524 0.463  0.351
N 1.832 -0.683 0.004  -0.687
C 1.238 0.478 0.089  0.273
N -0.092 0.603 -0.244  -0.638
C -0.970 -0.432 -0.132  0.519
O -2.170 -0.108 0.215  -0.581
H 1.759 1.537 0.300  0.170
H -0.481 1.532 -0.115  0.413
H -0.501 -1.393 -0.425  0.180

=====

Below is C4H6O2Yb as an isolated structure in a non-equilibrium geometry, with properties calculated with the ωB97M-V functional and the def2-TZVPD basis.

LUMO level = -0.36524 hartree
net charge = +2

Each line ends with the natural charge from an NBO analysis.
Cartesian coordinates (Å):
O 0.845 -0.727 -0.934  -0.435
C -0.029 0.047 -0.490  0.813
O -1.177 0.396 -0.880  -0.381
C 1.223 -0.644 -2.364  -0.063
C 1.970 -1.897 -2.722  -0.645
H 0.287 -0.534 -2.922  0.213
H 1.836 0.257 -2.478  0.219
H 1.319 -2.778 -2.662  0.238
H 2.320 -1.793 -3.758  0.264
H 2.845 -2.038 -2.075  0.241
Yb -1.383 0.925 2.796  1.881
C -0.374 1.162 0.369  -0.594
H -0.017 2.130 0.000  0.248

=====

Below is C34H68AsF3LaN2O4SbSi as an isolated structure in a non-equilibrium geometry, with properties calculated with the ωB97M-V functional and the def2-TZVPD basis.

LUMO level = 0.00903 hartree

Each line ends with the Löwdin charge.
Cartesian coordinates (Å):
La 1.013 -1.054 0.145  1.914
F 3.609 -5.374 -0.593  0.168
C 3.530 -4.460 0.383  -0.566
F 2.875 -5.015 1.401  0.170
F 4.735 -4.128 0.853  0.167
C 2.779 -3.204 -0.050  -0.567
O 1.567 -3.385 -0.412  -0.218
O 3.324 -2.053 0.092  -0.116
C -1.404 5.724 3.699  -0.199
C -0.930 6.127 2.283  -0.475
As -0.094 4.644 1.294  1.225
C 1.153 5.746 0.163  -0.444
C 0.583 6.437 -1.094  -0.157
C -1.557 3.970 0.080  -0.427
C -2.591 4.954 -0.351  -0.177
H -1.769 6.612 4.239  0.066
H -0.506 5.306 4.238  0.071
H -2.184 4.981 3.704  0.045
H -0.235 6.973 2.401  0.065
H -1.840 6.498 1.838  0.036
H 1.930 5.029 -0.097  0.010
H 1.656 6.429 0.874  0.058
H 0.313 5.687 -1.827  0.041
H 1.337 7.115 -1.519  0.070
H -0.253 7.026 -0.787  0.046
H -2.026 3.172 0.717  0.049
H -1.065 3.492 -0.761  0.015
H -3.026 5.362 0.560  0.054
H -3.410 4.415 -0.931  0.099
H -2.321 5.760 -0.947  0.030
C -0.388 -4.077 2.457  -0.104
C -1.294 -2.858 2.947  -0.617
C -2.455 -2.802 1.967  -0.126
C -1.835 -3.336 4.327  -0.094
Si -0.255 -1.155 2.889  0.735
C -1.473 0.382 3.122  -0.669
C -0.652 1.562 3.530  -0.140
C -2.182 0.726 1.851  -0.133
C -2.545 0.097 4.159  -0.093
C 1.021 -0.992 4.393  -0.607
C 2.025 0.227 4.040  -0.097
C 0.419 -0.728 5.762  -0.115
C 1.901 -2.233 4.574  -0.118
H -1.031 -4.940 2.494  0.064
H 0.443 -4.315 3.192  0.081
H 0.084 -3.913 1.485  0.034
H -2.837 -3.795 1.926  0.070
H -2.214 -2.502 0.947  0.055
H -3.257 -2.098 2.165  0.068
H -2.208 -4.374 4.275  0.083
H -2.550 -2.653 4.761  0.061
H -1.020 -3.425 5.031  0.051
H 0.094 1.671 2.773  0.041
H -0.244 1.664 4.525  0.070
H -1.276 2.443 3.496  0.062
H -1.609 1.219 1.073  0.037
H -3.028 1.334 2.106  0.080
H -2.592 -0.165 1.304  0.080
H -2.173 -0.162 5.155  0.070
H -3.211 -0.690 3.870  0.056
H -3.076 1.055 4.327  0.093
H 1.744 1.140 4.518  0.045
H 2.066 0.486 2.975  0.036
H 3.060 0.036 4.426  0.090
H -0.137 0.144 5.800  0.022
H 1.252 -0.637 6.446  0.081
H -0.283 -1.471 6.171  0.086
H 2.520 -2.322 3.720  0.055
H 1.269 -3.135 4.771  0.075
H 2.507 -2.092 5.456  0.071
C 2.186 3.218 -2.409  -0.002
N 0.888 2.549 -2.133  -0.039
C -0.163 2.741 -3.003  -0.062
C -1.277 1.952 -2.957  0.014
C -1.378 0.959 -1.895  -0.537
O -2.396 0.341 -1.640  0.031
N -0.244 0.729 -1.120  -0.017
C 0.801 1.506 -1.197  -0.620
O 1.816 1.250 -0.499  -0.157
H 2.749 2.513 -3.050  0.094
H 2.781 3.441 -1.498  0.095
H 1.997 4.129 -2.965  0.081
H -0.063 3.580 -3.625  0.112
H -2.153 2.224 -3.560  0.125
C 2.100 -0.097 -5.502  -0.159
C 0.721 -0.759 -5.412  -0.526
C 0.338 -1.626 -6.620  -0.135
Sb 0.667 -1.874 -3.479  1.509

**Solution**
Below is C4H6O2Yb as an isolated structure in a non-equilibrium geometry, with properties calculated with the ωB97M-V functional and the def2-TZVPD basis.